If you’re a child of the ’90s then you already know (and probably love) Dippin’ Dots. If you’re not and you don’t have kids or have never been to an amusement park, then here’s the long and short of it — Dippin’ Dots is cryogenically frozen ice cream that form little beads to create a flavor and texture party in your mouth.

Launched in 1988, Dippin’ Dots now has 22,000 points of presence across the U.S., including carts, vending machines and franchise stores. The novelty ice cream is served in nearly every major theme park across the country and in more than two-thirds of all baseball stadiums, not to mention at other local attractions, convenience stores and shopping malls.
And now, consumers can also find Dippin Dots’ online — no small feat when your product is flash frozen at -320° F and has to be stored at temperatures well below what a typical home freezer can accommodate.
Crafting an ecommerce experience that doesn’t create customer service catastrophes has been a logistical and design challenge of epic proportions, but the company has pulled it off. With the help of a few key tech partners, Dippin’ Dots has been able to:
- Avoid “melt-downs” with a customer-friendly, precision-timed checkout and delivery experience;
- Develop a website that translates the fun and whimsy of the Dippin’ Dots brand into a digital environment; and
- Create a multi-functional site that not only serves retail customers but also park managers and other sellers, as well as potential franchisees.
Crafting a Precision Delivery Experience

(The page is interrupted by records of molecules)
┌──
Computed, not measured: 10 unconnected molecules or ions with the total composition C23H61NO15S in a non-equilibrium geometry, with wB97M-V/def2-TZVPD.

Geometry as ORCA input:
```
! wB97M-V def2-TZVPD RIJCOSX def2/J DEFGRID3
* xyz 0 1
C 4.1291 4.0994 1.3662
C 3.4766 3.3721 0.1944
N 2.3833 2.4946 0.7159
C 1.4763 2.0661 -0.3754
C 0.0745 2.7070 -0.2232
C -1.0625 1.6721 -0.3361
C -2.1150 2.3220 -1.3011
O -1.9855 2.6221 -2.4155
O -3.3178 2.5114 -0.6711
C -2.9920 2.5613 0.7190
C -2.0084 1.4376 0.8554
C -1.4627 1.2469 2.2669
C -0.3424 0.2255 2.3803
C -0.5964 -1.0443 1.5569
C 0.7794 -1.6286 1.1896
S 0.6066 -3.1116 0.2302
O -0.2493 -4.0619 0.8313
O 0.3068 -2.7545 -1.1084
O 2.0978 -3.7542 0.2246
C 3.0311 1.3818 1.3569
C 3.7066 0.2593 0.5751
O 3.0495 1.3304 2.5301
H 4.6885 3.4287 2.0130
H 3.3351 4.5266 1.9654
H 4.7917 4.8742 1.0008
H 4.2504 2.7472 -0.2727
H 3.0818 4.0600 -0.5380
H 1.9100 2.4012 -1.3171
H 1.3763 0.9842 -0.4319
H 0.0089 3.3207 0.6698
H -0.0314 3.3788 -1.0707
H -0.7976 0.7498 -0.8409
H -3.7994 2.4472 1.4390
H -2.5914 3.5673 0.8869
H -2.4729 0.4788 0.5944
H -1.0486 2.2120 2.5778
H -2.2782 1.0613 2.9596
H -0.2963 -0.0863 3.4222
H 0.6386 0.6338 2.1526
H -1.1064 -1.8189 2.1177
H -1.1017 -0.8662 0.6165
H 1.2417 -0.9052 0.5267
H 1.3883 -1.7447 2.0818
H 2.6770 -3.0791 0.6338
H 4.7583 0.4771 0.4407
H 3.6141 -0.6446 1.1607
H 3.1902 0.0946 -0.3682
C 6.0801 -3.2275 0.0989
O 4.8761 -2.6550 -0.4036
H 6.8226 -2.4376 0.1788
H 5.9133 -3.6636 1.0876
H 6.4487 -3.9984 -0.5815
H 4.2283 -3.3641 -0.4720
C -4.0725 -1.8781 -1.5479
O -2.9829 -1.4133 -0.7539
H -4.9986 -1.5382 -1.0903
H -4.0061 -1.4837 -2.5617
H -4.0606 -2.9681 -1.5778
H -2.1729 -1.7331 -1.1702
C -4.2508 -4.5145 1.2537
O -3.1549 -4.0320 2.0309
H -5.1753 -4.1757 1.7099
H -4.1860 -4.1219 0.2384
H -4.2360 -5.6089 1.2306
H -2.3406 -4.3375 1.6125
C -7.7882 -4.9237 0.7046
O -7.3158 -3.6037 0.4542
H -7.1388 -5.6193 0.1787
H -7.7576 -5.1459 1.7748
H -8.8105 -5.0414 0.3366
H -7.8966 -2.9961 0.9238
C -4.2720 -2.8847 -5.7864
O -3.7490 -3.1625 -4.4925
H -5.2957 -2.5332 -5.6738
H -3.6729 -2.1066 -6.2702
H -4.2698 -3.7892 -6.3994
H -2.8436 -3.4711 -4.6053
C 5.6164 6.5389 4.7188
O 5.3027 5.8698 3.5020
H 4.7497 7.1253 5.0126
H 5.8413 5.8162 5.5076
H 6.4695 7.2086 4.5809
H 6.0737 5.3525 3.2475
C -6.2685 0.6553 -5.4857
O -6.5429 -0.0080 -6.7175
H -7.1514 1.2137 -5.1862
H -6.0299 -0.0762 -4.7089
H -5.4330 1.3477 -5.6129
H -5.7465 -0.4920 -6.9586
C 4.1620 -3.0603 3.8254
O 3.0994 -3.1268 2.8743
H 4.4227 -2.0144 3.9647
H 3.8424 -3.4804 4.7807
H 5.0368 -3.6023 3.4588
H 2.8649 -4.0539 2.7481
C 4.3047 5.6078 -3.0697
O 4.8453 5.3139 -1.7839
H 3.2948 5.9861 -2.9323
H 4.9056 6.3687 -3.5732
H 4.2678 4.7052 -3.6853
H 5.7386 4.9801 -1.9167
*
```

Calculated values
Structure (SMILES): CCN(CC[C@@H]1C(=O)OC[C@@H]1CCCCS(=O)(=O)O)C(C)=O.CO.CO.CO.CO.CO.CO.CO.CO.CO
Total energy, eV: -67873.1280
HOMO level, eV: -9.03
└──

Dippin’ Dots isn’t your run-of-the-mill ice cream, which means a run-of-the-mill ecommerce experience just won’t work. “When you order Dippin’ Dots, it has to remain very, very cold — it can’t even go into a regular home freezer — so it’s shipped in a cooler with dry ice,” explained Dana Knudsen, Senior Director of Marketing at Dippin’ Dots in an interview with Retail TouchPoints. “From the time we ship it to when it’s delivered to the consumer, it needs to be eaten within about 24 hours — it’s ice cream; it’s going to melt unless you find a way to get more dry ice. Also, a lot of people are ordering for things like birthday parties or a special occasion, so they have a very specific date when they need the product. It’s tricky.”
“Tricky” might be an understatement. To build out the very specific experience they needed for their site, Knudsen and her team turned to ecommerce agency Groove Commerce, which built the new site on the BigCommerce platform. This wasn’t Dippin’ Dots’ first foray into ecommerce, but the previous site was built on an “antiquated platform” that didn’t have the design or functionality the brand wanted, said Knudsen.
Groove used BigCommerce’s one-page checkout flow as the basis for the experience, but that plug-in doesn’t have the functionality to let users pick a delivery date, so Groove layered on Advanced Shipping Manager’s API.

The result is a customized checkout experience that presents Dippin’ Dots customers with a calendar once they input their shipping address. “The calendar displays the current date as well as blackout dates, and then for each day that is available for shipping, it shows the lowest-cost shipping price,” said Drew Blais, Creative Director at Groove Commerce in an interview with Retail TouchPoints. “A user can then select the date that they would like the item to be delivered. If there’s only one available shipping method on that day, that will be the one the system chooses. If there are multiple available shipping methods, it will give the user the option to choose from those methods and display the corresponding price.”
A key piece of making this all work is ensuring customers understand the limitations around their delivery, so the site includes detailed instructions in multiple places, and customers must confirm that they’ve read the delivery instructions before they can check out.
Small Design Tweaks that Make a Big Impact
The site’s clear, simple checkout experience belies the complicated work going on behind the scenes, and the same goes for the website’s redesign, which features a variety of new elements that Blais described as “small in scale, but big in impact.”
“I too am a child of the ’90s, and this is the kind of project that every designer dreams about — having the opportunity to take a brand that you have such a personal connection to and translate that physical experience in a digital environment,” said Blais.
“We’re not trying to replace any of the outlets where you get Dippin’ Dots, because those are great, fun places to visit, and that experience of having Dippin’ Dots while you’re there is what makes people just love the brand,” explained Knudsen. “We just want people to be able to create those same memories and bring that same experience to their birthday party or an event that they’re having. We’re all about fun and color and excitement and making people happy, so it was important to communicate that through our website as well.”

The article is interrupted by calculated molecules:
Record 1
C23H24N4O3 in the gas phase at a distorted geometry. Source: the OMol25 dataset; level of theory: ωB97M-V/def2-TZVPD.

Multiplicity   1
SMILES string   O=c1[nH]c(=O)n(CCC2=CCCCC2)c(O)c1/C=N/Nc1cccc2ccccc12
LUMO   0.325 eV
Kohn-Sham gap   7.8 eV
Energy above the lowest of the compared OMol25 structures with the same formula, charge and spin   0.880 eV

CARTESIAN COORDINATES (ANGSTROEM)
O -0.342 5.620 0.510
C 0.213 4.575 0.251
N 1.600 4.536 0.104
C 2.393 3.459 -0.185
O 3.594 3.537 -0.280
N 1.705 2.267 -0.374
C 2.479 1.068 -0.658
C 2.691 0.231 0.609
C 3.444 -1.031 0.291
C 2.828 -2.201 0.197
C 3.509 -3.491 -0.142
C 4.904 -3.257 -0.713
C 5.639 -2.228 0.138
C 4.921 -0.884 0.051
C 0.353 2.185 -0.242
O -0.167 0.983 -0.445
C -0.418 3.287 0.067
C -1.848 3.205 0.197
N -2.465 2.083 0.106
N -3.797 2.035 0.231
C -4.551 0.902 -0.021
C -5.836 1.076 -0.495
C -6.644 -0.017 -0.812
C -6.168 -1.291 -0.672
C -4.880 -1.516 -0.143
C -4.394 -2.826 0.055
C -3.175 -3.048 0.630
C -2.401 -1.964 1.063
C -2.833 -0.681 0.867
C -4.061 -0.414 0.228
H 2.086 5.417 0.233
H 3.438 1.402 -1.056
H 1.944 0.481 -1.406
H 1.716 -0.018 1.031
H 3.246 0.830 1.334
H 1.764 -2.268 0.385
H 2.895 -4.049 -0.854
H 3.578 -4.101 0.766
H 5.458 -4.196 -0.743
H 4.820 -2.882 -1.736
H 5.655 -2.567 1.176
H 6.671 -2.121 -0.199
H 5.342 -0.185 0.777
H 5.081 -0.451 -0.942
H -1.155 1.058 -0.336
H -2.365 4.148 0.376
H -4.300 2.922 0.230
H -6.215 2.078 -0.644
H -7.639 0.158 -1.192
H -6.774 -2.141 -0.946
H -5.017 -3.655 -0.250
H -2.814 -4.056 0.777
H -1.461 -2.146 1.562
H -2.246 0.140 1.243

Forces on atoms 1 to 2 (eV/Å):
-0.19 0.22 0.06
0.21 -0.51 -0.11

Record 2
A molecular structure, C23H24N9O3PS3Sc at a distorted geometry. Source: the OMol25 dataset; level of theory: ωB97M-V/def2-TZVPD.

Multiplicity   2
LUMO (spin up / spin down)   -0.055 / -0.050 eV
Kohn-Sham gap (spin up / spin down)   5.5 / 7.3 eV
Energy above the lowest of the compared OMol25 structures with the same formula, charge and spin   0.000 eV

CARTESIAN COORDINATES (ANGSTROEM)
Sc 0.846 0.551 1.190
N 3.023 2.540 3.204
N 1.935 3.416 3.226
C 0.674 3.014 3.011
N -0.182 4.020 2.619
N 0.414 1.753 3.130
N -0.945 0.035 3.621
O -1.767 -0.973 3.072
O -0.263 -0.416 4.632
H 3.758 2.811 3.866
H 3.386 2.366 2.286
H 2.159 4.355 2.943
H 0.222 4.687 1.989
H -1.026 3.683 2.155
O 0.061 -1.252 1.711
C -1.206 -1.419 1.861
C -2.091 -1.865 0.866
C -3.314 -2.561 1.107
C -4.003 -3.251 0.133
C -3.547 -3.192 -1.193
C -2.443 -2.439 -1.522
C -1.657 -1.802 -0.517
P -0.466 -0.485 -1.000
C 0.513 -1.208 -2.340
C 0.854 -2.555 -2.272
C 1.613 -3.124 -3.311
C 1.862 -2.357 -4.454
C 1.518 -0.982 -4.518
C 0.840 -0.416 -3.455
C -1.498 0.726 -1.877
C -2.268 0.510 -3.012
C -3.112 1.544 -3.556
C -3.047 2.829 -3.024
C -2.154 3.093 -1.981
C -1.444 2.032 -1.442
H -3.613 -2.565 2.153
H -4.901 -3.801 0.368
H -4.175 -3.657 -1.885
H -2.195 -2.334 -2.564
H 0.524 -3.220 -1.407
H 1.961 -4.145 -3.334
H 2.320 -2.783 -5.332
H 1.736 -0.390 -5.386
H 0.603 0.637 -3.555
H -2.229 -0.442 -3.522

Some of the ways the Groove team did this include:
- Small design elements like integrating icicles into the site header;
- Showing images of ingredients behind the cups in the product imagery to give a clearer picture of each flavor profile;
- Custom CSS animations that do things like increase the image size and tilt the text when you hover over an image in the product list; and
- A loading animation of dots falling into a cup when something is processing in the background.
“We took all of these opportunities to just add small moments of delight into the experience and translate what it is like to have that product in person,” said Blais.
Serving Up an Experience that Serves All
The new site launched in June 2022, just in the time to capitalize on the peak summer season, and now serves many needs beyond just those of hungry, nostalgic fans.
Not only is the site used to build new wholesale and franchise partnerships, but many consumers also visit simply to find out more information about the treat they’re enjoying on a day out.
In actuality, ecommerce isn’t a huge piece of Dippin’ Dots’ business, and it likely never will be, especially because the cost for home delivery is high. Customers order in bulk, so the price for one bag runs around $70 — although Knudsen points out that when you consider that there are approximately 30 cups of ice cream in a bag, the cost per person is actually lower than what people pay at venues. But the shipping doesn’t come cheap – since one-day airmail is often the only option, prices can frequently run well above $100 for a delivery.
Still, Knudsen says the company’s ecommerce traffic is steady, and they’ve even been shocked to find that many people are placing orders just for themselves, a notable trend when you consider the whole bag has to be eaten in 24 hours. Bottom line: never understand estimate the lengths people will go for a nostalgic, joy-inducing treat.